Supporting the revitalisation of Britain’s Town Centres and High Streets
Town centre regeneration consultants
Museum Cafe Feasibility Study
New park feasibility study
Museum income generation

Town Deal Business Case Consultants

There continues to be a renewed policy and programme impetus to support town centres thrive, becoming vibrant hubs where people live, shop, use services and spend their leisure time. Programmes such as the Future High Streets Fund and the Towns Fund (which will provide £3.6 billion to help fund projects to support the regeneration of 101 town centres across England) aims to support towns to adapt to new challenges and thrive.

The Town Fund will support a range of projects which will drive economic regeneration, help communities to work together, generate employment opportunities and act as a catalyst for private sector investment.

Investing in towns can take a range of different forms such as, for example, supporting heritage or cultural assets, enhancing greenspaces, developing a strong sense of place and turning former industrial sites into leisure or tourist experiences.   This will take place alongside investing in connectivity in terms of transport infrastructure, skills development and broadband technology.

Together this ‘investment package’ can:

  • Help to change peoples’ perceptions of place
  • Make places more attractive to live in and visit
  • Draw in new residents
  • Attract new businesses and inward investment

The first stage is to develop the Town Deal Board leading to the development of a Town Investment Plan, which in turn leads to the agreed production of the Town Deal.   A key element is to develop a Town Deal business case to test the financial viability of the proposals being put forward.

How can we help?

Our specialisms are in tourism and heritage-led regeneration and how these can be structured and delivered in different ways to support economic growth

Town Investment Plans

We can help to shape the Town Investment Plan – with a focus on heritage-based initiatives, visitor facilities, parks and leisure projects.   The Town Investment Plan will set out a clear vision, identify key challenges and opportunities which the town faces and set out investment priorities to drive economic growth.

An important element of this will be to ensure that the Town Investment Plan is able to deliver outcomes from key policies and strategies.   One of the key considerations is how can the Town Investment Plan support the Government’s objective of ‘net zero’ by 2050.

Preparing the Town Deal Business Case

/*
# 1
Diffraction record for Sm2ZrSe5. The powder X-ray diffraction pattern is calculated, not measured: it uses DFT lattice parameters and positions (GGA-PBE) and Cu Kα (λ = 1.5418 Å).

Atomic structure:
```
Sm2ZrSe5
1.0
12.265 0.000 0.000
0.000 8.243 0.000
0.000 0.000 7.714
Sm Zr Se
8 4 20
direct
0.179 0.004 0.026
0.179 0.496 0.026
0.321 0.504 0.526
0.321 0.996 0.526
0.679 0.004 0.474
0.679 0.496 0.474
0.821 0.504 0.974
0.821 0.996 0.974
0.007 0.750 0.580
0.493 0.250 0.080
0.507 0.750 0.920
0.993 0.250 0.420
0.004 0.750 0.948
0.092 0.038 0.662
0.092 0.462 0.662
0.181 0.750 0.333
0.208 0.250 0.313
0.292 0.750 0.813
0.319 0.250 0.833
0.408 0.538 0.162
0.408 0.962 0.162
0.496 0.250 0.448
0.504 0.750 0.552
0.592 0.038 0.838
0.592 0.462 0.838
0.681 0.750 0.167
0.708 0.250 0.187
0.792 0.750 0.687
0.819 0.250 0.667
0.908 0.538 0.338
0.908 0.962 0.338
0.996 0.250 0.052
```

Most intense lines, 2θ from 15° to 90°, low angle first:
2θ/deg  Rel. int.
32.63  58.1
32.97  84.4
35.06  100.0
36.53  41.9
43.94  45.2
44.56  46.0



# 2
Diffraction record for CaThSe3. The powder X-ray diffraction pattern is calculated, not measured: it uses DFT lattice parameters and positions (GGA-PBE) and Cu Kα (λ = 1.5418 Å).

Atomic structure:
```
CaThSe3
1.0
2.172 -10.401 0.000
2.172 10.401 0.000
0.000 0.000 7.425
Ca Th Se
2 2 6
direct
0.152 0.848 0.500
0.848 0.152 0.000
0.343 0.657 0.486
0.657 0.343 0.986
0.092 0.908 0.149
0.249 0.751 0.829
0.411 0.589 0.171
0.589 0.411 0.671
0.751 0.249 0.329
0.908 0.092 0.649
```

Most intense lines, 2θ from 15° to 90°, low angle first:
2θ/deg  Rel. int.
17.05  49.7
24.15  64.7
27.04  64.5
32.14  100.0
35.42  49.4
42.25  65.9

* * * * *

Structure and theoretical powder diffractogram of Tl7In4Ga (a crystal structure in Alexandria, relaxed with GGA-PBE; copper Kα).
Peak positions follow from Bragg's law for the DFT cell and can differ from measured ones.

Principal peaks in the range 5 to 70 degrees two-theta, in order of rising 2θ:
- d = 2.744 Å, 32.6°, I = 100, (1 1 0)
- d = 2.718 Å, 32.9°, I = 95, (1 0 4)
- d = 1.931 Å, 47.1°, I = 35, (0 2 4)
- d = 1.584 Å, 58.2°, I = 19, (3 0 0)
- d = 1.579 Å, 58.4°, I = 37, (2 1 4)
- d = 1.565 Å, 59.0°, I = 16, (0 1 8)

Atomic structure:
```
data_Tl7In4Ga
_chemical_formula_sum 'Tl7 In4 Ga1'
_symmetry_space_group_name_H-M 'P 1'
_symmetry_Int_Tables_number 1
_cell_length_a 5.4870
_cell_length_b 5.4870
_cell_length_c 13.2572
_cell_angle_alpha 90.00
_cell_angle_beta 90.00
_cell_angle_gamma 120.00
loop_
_symmetry_equiv_pos_as_xyz
'x,y,z'
loop_
_atom_site_label
_atom_site_type_symbol
_atom_site_fract_x
_atom_site_fract_y
_atom_site_fract_z
Tl1 Tl 0.0000 0.0000 0.0000
Tl2 Tl 0.0000 0.0000 0.2606
Tl3 Tl 0.0000 0.0000 0.7394
Tl4 Tl 0.3333 0.6667 0.1572
Tl5 Tl 0.3333 0.6667 0.4171
Tl6 Tl 0.6667 0.3333 0.5829
Tl7 Tl 0.6667 0.3333 0.8428
In1 In 0.3333 0.6667 0.6611
In2 In 0.3333 0.6667 0.9053
In3 In 0.6667 0.3333 0.0947
In4 In 0.6667 0.3333 0.3389
Ga1 Ga 0.0000 0.0000 0.5000
```

* * * * *

1.
*/
End of the crystal structures:

We can provide technical expertise to develop the supporting Town Deal Business Cases.  Our specialism is in working on the reuse and transformation of heritage assets, the development of parks and attractive greenspaces and leisure-based projects.

We have prepared a number of development investment plans and supporting business plans support the development of town based “assets” to ensure that they are financially viable.

  • Warwickshire County Council: Working with the Council and two trusts to prepare a business plan to develop a George Eliot Visitor Centre / Literary Hub
  • High Peak Borough Council/Staffordshire Moorlands District Council: Buxton Pavilion – operational review to identify approaches to increasing financial resiliance
  • Rushcliffe Country Park: Carrying out a feasibility study to assess the opportunity to introduce a café within Rushcliffe Country Park
  • Hartlepool Borough Council: Preparing two business plans to test the financial viability of a coastal watersports centre and also a heritage based visitor attraction
  • Shropshire Council:  Business case to support the development of Ditherington Flax Mill in Shrewsbury

Working together

We specialise in heritage, visitor attractions, parks and leisure-based regeneration projects.  We recognise that Town Investment Plans encompass much more than this and will require specialist teams including architects, landscape designers and economists to work together to develop Town Investment Plans and supporting Town Deal businesses cases.  We are very happy to collaborate with other specialist consultants and work on specific elements for Councils developing projects.

Contact us

If you would like to talk through a potential project please don’t hesitate to contact Kevin Brown, Managing Director (